Microsoft Corporation
September 1996
A common implementation task is creating a list box within a dialog box. The Microsoft® Foundation Class Library (MFC) dialog data exchange (DDX) automates the moving of data between simple dialog box controls (such as edit boxes) and program data structures. However, moving data between more complex dialog box controls (such as a list box) and program data structures requires a little hand coding on your part.
This article describes a technique for initializing a list box from a data structure in Visual C++®.
The technique of filling a list box requires the following four steps:
The rest of this article walks you, step by step, through a simple programming project that illustrates the process outlined in the previous steps.
Note This project assumes knowledge of the Visual C++® project facilities such as the menu and dialog editors, ClassView, ResourceView, AppWizard, and ClassWizard. It also assumes knowledge of C++ and the Microsoft® Foundation Class Library. All of the steps and code required to finish the project are provided. Remember that pressing F1 provides help on the tool that has the current focus.
In this example, you'll use AppWizard to create a multi-document project. After creating the project, you'll add one menu and two dialog boxes. The menu will provide entry points to the dialog boxes. One dialog box accepts strings and one displays them. Strings entered by the user are stored in the context of the currently open document. The flow of data is from the first dialog box's object, to the current document's object, and, finally, to the second dialog box's object.
Note that this project adds steps—adding a menu and an extra dialog box—to the four mentioned earlier. These extra steps are required to provide data for the list box. The four initial steps are meant as a springboard into your own project. If you want hands-on experience before jumping into your own project, perform the steps below.
The following list shows the steps in this example project:
Begin by using AppWizard to create a project to work in.
Next, add a menu called "Names" to the default set of menus.
In this section you will create a dialog box that has a list box into which a user can enter data.
Type | Location | Name |
Static text | Upper-left corner | IDC_STATIC |
Edit box | Below static text | IDC_ENTERNAME |
Next, add a class for the Enter Name dialog box.
Attribute | Value |
Class Name | CEnterNameDlg |
Class Type | Cdialog |
Next, add variables to the Enter Name dialog box class.
Attribute | Value |
Member Variable Name | m_csName |
Category | Value |
Variable Type | Cstring |
In this section you will create a second dialog box. This one will retrieve the data a user enters into the other dialog box. First, draw the new dialog box.
Next, add a class for the Retrieve Names dialog box.
Attribute | Value |
Class Name | CRetrieveNamesDlg |
Class Type | Cdialog |
To conclude this section, add variables to the Retrieve Names dialog box class.
CRetrieveNamesDlg requires two variables: one for the IDC_RETRIEVELASTNAME control ID and one for the IDC_RETRIEVENAMES control ID.
Attribute | Value |
Member Variable Name | m_csLastNameEntered |
Category | Value |
Variable Type | Cstring |
Attribute | Value |
Member | Variable |
Name | m_csNames |
Category | Value |
Variable Type | CString |
Misplaced materials data =
First-principles (GGA-PBE) data for Bi3SN after structural relaxation, as listed in Alexandria via LeMat-Bulk.

Calculated values
E above lowest polymorph: 0.0000 eV per atom
formation energy (no corrections): 3.5 eV per formula unit
spin magnetization: 0.000 μB/cell
total energy: -4.12 eV per atom

a = 4.9500 Å, b = 4.9500 Å, c = 4.9500 Å
α = 90.00°, β = 90.00°, γ = 90.00°
Closest atoms and distances in Å follow each position.
Space group Pm-3m (No. 221)
Asymmetric unit:
Bi 0.0000 0.0000 0.5000 (multiplicity 3)  2 N 2.47
S 0.5000 0.5000 0.5000 (multiplicity 1)  12 Bi 3.50
N 0.0000 0.0000 0.0000 (multiplicity 1)  6 Bi 2.47

=====

Material: NaNd2Te6Pb3
Method: DFT, GGA-PBE
State: optimized geometry

Lattice parameters (Å, degrees): 10.338 10.338 9.320 104.10 104.10 25.33
Positions (direct):
Na (0.000, 0.000, 0.000)
Nd (0.333, 0.333, 0.656)
Nd (0.667, 0.667, 0.344)
Te (0.169, 0.169, 0.589)
Te (0.173, 0.173, 0.101)
Te (0.494, 0.494, 0.748)
Te (0.506, 0.506, 0.252)
Te (0.827, 0.827, 0.899)
Te (0.831, 0.831, 0.411)
Pb (0.000, 0.000, 0.500)
Pb (0.342, 0.342, 0.151)
Pb (0.658, 0.658, 0.849)

D(E_F)	4.38	states/eV/cell
space-group type	C2/m, No. 12
E_form (uncorrected)	-0.8266	eV per atom

=====

# 1
# BaSr2Tc (GGA-PBE, relaxed)
data_BaSr2Tc
_chemical_formula_sum 'Ba3 Sr6 Tc3'
_cell_length_a 3.9466
_cell_length_b 3.9466
_cell_length_c 35.1113
_cell_angle_alpha 90.00
_cell_angle_beta 90.00
_cell_angle_gamma 120.00
_space_group_name_H-M_alt 'R 3 m'
_space_group_IT_number 160
_space_group_name_Hall 'R 3 -2"'
loop_
_atom_site_label
_atom_site_type_symbol
_atom_site_fract_x
_atom_site_fract_y
_atom_site_fract_z
Ba1 Ba 0.0000 0.0000 0.0000
Sr1 Sr 0.0000 0.0000 0.2261
Sr2 Sr 0.0000 0.0000 0.4534
Tc1 Tc 0.0000 0.0000 0.7265
# DFT total energy	-37.96	eV for the cell shown
# volume	474	Å³ per cell
# N(E_F)	3.4	states/eV/f.u.
# theoretical density	4.32	g/cm³

# 2
# BaSr2Tc (GGA-PBE, relaxed)
data_BaSr2Tc
_chemical_formula_sum 'Ba2 Sr4 Tc2'
_cell_length_a 3.7708
_cell_length_b 6.0783
_cell_length_c 13.9996
_cell_angle_alpha 90.00
_cell_angle_beta 90.00
_cell_angle_gamma 90.00
_space_group_name_H-M_alt 'I m m m'
_space_group_IT_number 71
_space_group_name_Hall '-I 2 2'
loop_
_atom_site_label
_atom_site_type_symbol
_atom_site_fract_x
_atom_site_fract_y
_atom_site_fract_z
Ba1 Ba 0.0000 0.0000 0.0000
Sr1 Sr 0.0000 0.5000 0.1780
Tc1 Tc 0.0000 0.0000 0.5000
# DFT total energy	-26.00	eV for the cell shown
# volume	321	Å³ per cell
# N(E_F)	5.6	states/eV/f.u.
# theoretical density	4.25	g/cm³

# 3
# Ba2SrTc (GGA-PBE, relaxed)
data_Ba2SrTc
_chemical_formula_sum 'Ba4 Sr2 Tc2'
_cell_length_a 5.5713
_cell_length_b 5.5713
_cell_length_c 9.5852
_cell_angle_alpha 90.00
_cell_angle_beta 90.00
_cell_angle_gamma 90.00
_space_group_name_H-M_alt 'I 4/m m m'
_space_group_IT_number 139
_space_group_name_Hall '-I 4 2'
loop_
_atom_site_label
_atom_site_type_symbol
_atom_site_fract_x
_atom_site_fract_y
_atom_site_fract_z
Ba1 Ba 0.0000 0.5000 0.2500
Sr1 Sr 0.0000 0.0000 0.0000
The next task will be to connect the two dialog boxes to the Names menu.
Objects of type CEnterNameDlg are launched when the user clicks Enter Name (Name menu). CEnterNameDlg accepts strings from the user. User-entered strings are stored in a CStringList in the current document.
#include "stdafx.h"
#include "Name List.h"
>#include "EnterNameDlg.h"
#include "Name ListDoc.h"
void CNameListDoc::OnNameEntername()
> CEnterNameDlg dlg;
> if (dlg.DoModal() == IDOK)
> // MFC dialog data exchange returns the user's entry
> // into dlg.m_csName. Add dlg.m_csName to the end of
Records of crystals, kept here for reference >
<<<
Ce6Ge5Os: optimized geometry, GGA-PBE.

Values from the calculation:
formation energy = -0.54 eV per atom

Structure (CIF):
```
data_Ce6Ge5Os
_space_group_name_H-M_alt 'P 1'
_space_group_IT_number 1
_cell_length_a 7.274
_cell_length_b 7.274
_cell_length_c 7.256
_cell_angle_alpha 99.62
_cell_angle_beta 99.62
_cell_angle_gamma 119.90
loop_
_space_group_symop_operation_xyz
'x,y,z'
loop_
_atom_site_label
_atom_site_type_symbol
_atom_site_fract_x
_atom_site_fract_y
_atom_site_fract_z
_atom_site_occupancy
Ce1 Ce 0.080 0.396 0.740 1
Ce2 Ce 0.234 0.234 0.259 1
Ce3 Ce 0.396 0.080 0.740 1
Ce4 Ce 0.604 0.920 0.260 1
Ce5 Ce 0.766 0.766 0.741 1
Ce6 Ce 0.920 0.604 0.260 1
Ge1 Ge 0.174 0.826 0.000 1
Ge2 Ge 0.334 0.666 0.500 1
Ge3 Ge 0.500 0.500 0.000 1
Ge4 Ge 0.666 0.334 0.500 1
Ge5 Ge 0.826 0.174 0.000 1
Os1 Os 0.000 0.000 0.500 1
```

=====

Tm3Ni20B6: optimized geometry, PBE-GGA.

Geometry as extended XYZ:
```
29
Lattice="6.5978 0.0000 3.8092 2.1993 6.2205 3.8092 0.0000 0.0000 7.6185" Properties=species:S:1:pos:R:3 pbc="T T T"
Ni 0.7585 2.1453 1.3138
Ni 5.0808 2.1453 3.8092
Ni 4.3223 0.0000 5.1230
Ni 5.3830 3.8063 5.9133
Ni 3.4141 2.4141 5.9133
Ni 0.7585 2.1453 6.3047
Ni 0.0000 0.0000 2.6275
Ni 4.3985 1.0219 7.6185
Ni 1.4408 4.0751 2.4955
Ni 2.4296 3.8063 7.6185
Ni 4.3223 0.0000 2.4955
Ni 4.3985 5.1986 7.6185
Ni 6.3674 2.4141 7.6185
Ni 2.2755 0.0000 6.3047
Ni 1.4408 4.0751 5.1230
Ni 5.3830 3.8063 9.3236
Ni 3.4141 2.4141 9.3236
Ni 3.7162 4.0751 3.8092
Ni 2.2755 0.0000 1.3138
Ni 0.0000 0.0000 4.9910
Tm 6.5978 4.6653 11.4277
Tm 2.1993 1.5551 3.8092
Tm 0.0000 0.0000 0.0000
B 6.4384 4.5527 7.6185
B 3.3786 4.5527 5.8519
B 2.3586 1.6678 7.6185
B 5.4185 1.6678 5.8519
B 3.3786 4.5527 9.3851
B 5.4185 1.6678 9.3851
```

Space group ... Fm-3m, No. 225
Crystal system ... cubic
Calculated total energy ... -180.61 eV per formula unit



K4SmPa3Se8: optimized geometry, PBE-GGA.

Geometry as extended XYZ:
```
16
Lattice="8.3789 0.0000 0.0000 0.0000 9.1963 0.5713 -4.1895 -4.1858 5.9275" Properties=species:S:1:pos:R:3 pbc="T T T"
Se 0.0000 0.4459 3.2756
Se 2.0710 2.4759 6.1731
Se -2.0710 2.4759 6.1731
Se 6.2604 2.5346 0.3257
Se 4.1895 4.5646 3.2232
Se 0.0000 4.5451 3.2429
Se 2.1185 2.5346 0.3257
Se 4.1895 0.4655 3.2559
Sm 0.0000 4.5982 0.2857
K 4.1895 0.0000 0.0000
K 2.0947 -2.0929 2.9637
K -2.0947 -2.0929 2.9637
K 0.0000 0.0000 0.0000
Pa 4.1895 4.5982 0.2857
Pa -2.0947 2.5053 3.2494
Pa 2.0947 2.5053 3.2494
```

Formation energy (no corrections) ... -1.42 eV per atom
Space group ... R-3m, No. 166
Crystal system ... trigonal



SrLiRe: optimized geometry, PBE-GGA.

Geometry as extended XYZ:
```
3
Lattice="5.8379 0.0380 -0.0338 3.5508 4.6340 0.0338 -4.1957 -3.3380 2.3102" Properties=species:S:1:pos:R:3 pbc="T T T"
Li 9.0431 4.5000 0.0000
Re 3.4164 1.7001 0.0000
Sr 6.3180 3.1439 0.0000
```

Space group ... Imm2, No. 44
Crystal system ... orthorhombic
Calculated total energy ... -13.35 eV per formula unit



Cs3TaSb: optimized geometry, PBE-GGA.

Geometry as extended XYZ:
```
5
>>>
The records of crystals stop here >
> // the document's CStringList:
> m_csDocumentNameList.AddTail(dlg.m_csName);
This code creates a CEnterNameDlg object when the user selects the Enter Name command from the Name menu. When the user clicks the OK button in the Enter Name dialog, the content of the edit box, dlg.m_csName, is added to the tail of a list.
This code also assumes a CStringList named m_csDocumentNameList in class CNameListDoc. The application's flow of data is from CEnterNameDlg to CNameListDoc to CRetrieveNamesDlg.
To add the CStringList to the document view, open CNameListDoc from ClassView and add the code below marked with ">".
class CNameListDoc : public Cdocument
protected: // create from serialization only
// Attributes
>// Attributes
> // Names entered and retrieved from Name menu
> CStringList m_csDocumentNameList;
This code makes use of the MFC CStringList container class to hold multiple user entries. Later, you'll add the appropriate variables to class CRetrieveNamesDlg in order to complete the data flow.
Next, connect the Retrieve Names dialog box to the Names menu.
#include "stdafx.h"
#include "Name List.h"
#include "EnterNameDlg.h"
>#include "RetrieveNamesDlg.h"
#include "Name ListDoc.h".
void CNameListDoc::OnNameRetrievenames()
**The text is interrupted by crystal structures**
<<<
Computed, not measured: a geometry-optimized NaPuP2 structure at the PBE-GGA level of DFT.

Cell and atoms, written as CIF:
```
data_NaPuP2
_chemical_formula_sum 'Na1 Pu1 P2'
_space_group_name_H-M_alt 'P 1'
_space_group_IT_number 1
_space_group_name_Hall 'P 1'
_cell_length_a 6.8262
_cell_length_b 6.8262
_cell_length_c 6.8262
_cell_angle_alpha 35.11
_cell_angle_beta 35.11
_cell_angle_gamma 35.11
loop_
_atom_site_label
_atom_site_type_symbol
_atom_site_fract_x
_atom_site_fract_y
_atom_site_fract_z
Na1 Na 0.0000 0.0000 0.0000
Pu1 Pu 0.5000 0.5000 0.5000
P1 P 0.2342 0.2342 0.2342
P2 P 0.7658 0.7658 0.7658
```

**Calculated formation energy**: -0.515 eV per atom
**Calculated volume**: 23.50 A^3/atom
**N(E_F)**: 12.680 states/eV/cell
**Total magnetization**: 3.30 μB per cell

=====

Computed, not measured: a geometry-optimized NaSmEu structure at the PBE-GGA level of DFT.

Cell and atoms, written as CIF:
```
data_NaSmEu
_chemical_formula_sum 'Na1 Sm1 Eu1'
_space_group_name_H-M_alt 'P 1'
_space_group_IT_number 1
_space_group_name_Hall 'P 1'
_cell_length_a 8.8797
_cell_length_b 8.8797
_cell_length_c 8.8797
_cell_angle_alpha 156.50
_cell_angle_beta 156.50
_cell_angle_gamma 33.48
loop_
_atom_site_label
_atom_site_type_symbol
_atom_site_fract_x
_atom_site_fract_y
_atom_site_fract_z
Na1 Na 0.0000 0.0000 0.0000
Sm1 Sm 0.6644 0.6644 0.0000
Eu1 Eu 0.3240 0.3240 0.0000
```

**Calculated formation energy**: 0.162 eV per atom
**Calculated volume**: 37.08 A^3/atom
**N(E_F)**: 6.330 states/eV/cell
**Total magnetization**: 7.61 μB per cell

=====

Computed, not measured: a geometry-optimized Ac2NiAs structure at the PBE-GGA level of DFT.

Cell and atoms, written as CIF:
```
data_Ac2NiAs
_chemical_formula_sum 'Ac2 Ni1 As1'
_space_group_name_H-M_alt 'P 1'
_space_group_IT_number 1
_space_group_name_Hall 'P 1'
_cell_length_a 5.3676
_cell_length_b 5.3676
_cell_length_c 5.3676
_cell_angle_alpha 60.00
_cell_angle_beta 60.00
_cell_angle_gamma 60.00
loop_
_atom_site_label
_atom_site_type_symbol
_atom_site_fract_x
_atom_site_fract_y
_atom_site_fract_z
Ac1 Ac 0.2500 0.2500 0.2500
Ac2 Ac 0.7500 0.7500 0.7500
Ni1 Ni 0.0000 0.0000 0.0000
As1 As 0.5000 0.5000 0.5000
```

**Calculated formation energy**: -0.521 eV per atom
**Calculated volume**: 27.34 A^3/atom
**N(E_F)**: 4.413 states/eV/cell
**Total magnetization**: 0.27 μB per cell

=====

Computed, not measured: a geometry-optimized Ba2GePtN structure at the PBE-GGA level of DFT.

Cell and atoms, written as CIF:
```
data_Ba2GePtN
_chemical_formula_sum 'Ba2 Ge1 Pt1 N1'
_space_group_name_H-M_alt 'P 1'
_space_group_IT_number 1
_space_group_name_Hall 'P 1'
_cell_length_a 5.9784
_cell_length_b 5.9784
_cell_length_c 3.7927
_cell_angle_alpha 90.00
_cell_angle_beta 90.00
_cell_angle_gamma 90.00
loop_
_atom_site_label
_atom_site_type_symbol
_atom_site_fract_x
_atom_site_fract_y
_atom_site_fract_z
Ba1 Ba 0.0000 0.5000 0.0000
Ba2 Ba 0.5000 0.0000 0.0000
Ge1 Ge 0.0000 0.0000 0.5000
Pt1 Pt 0.5000 0.5000 0.5000
N1 N 0.5000 0.5000 0.0000
```
>>>
> CRetrieveNamesDlg dlg;
>// At this point, the DoDataExchange call to DDX_Text that is
>// associated with CNameListDoc::OnNamesRetrievenames
>// automatically performs the required UpdateData call to fill
>// the IDC_RETRIEVELASTNAME text box with user-entered data.
> dlg.m_csLastNameEntered = m_csDocumentNameList.GetTail();
>// Assign a pointer to the document's CStringList to
>// the dialog box object's CstringList.
> dlg.m_pcsNameList = &m_csDocumentNameList;
> if (dlg.DoModal() == IDOK)
> {
> }
This code creates a CRetrieveNamesDlg object when the user clicks Retrieve Name (on the Name menu). The object's data members are initialized to contain the document's data. After the call to DoModal, DDX automatically fills the IDC_RETRIEVELASTNAME text box with user-entered data.
The final two steps in this exercise are to add a CStringList to the CRetrieveNamesDlg class and to add some code to CRetrieveNamesDlg::OnInitDialog, which fills the dialog box's list box from the CstringList.
One important data structure is missing from the CRetrieveNamesDlg class: a CStringList to contain user-entered data. Open CRetrieveNamesDlg from ClassView and add the code below marked with ">".
class CRetrieveNamesDlg : public Cdialog
// Construction
CRetrieveNamesDlg(CWnd* pParent = NULL); // standard constructor
// Dialog Data
CString m_csNames;
CString m_csLastNameEntered;
>CStringList* m_pcsNameList;
This added CStringList allows you to assign the user-entered data stored in a CNameListDoc object to a CRetrieveNamesDlg object. In the final step you will add code to CRetrieveNamesDlg::OnInitDialog, which fills the dialog box's list box from the CStringList.
BOOL CRetrieveNamesDlg::OnInitDialog()
> CListBox* pLB = (CListBox*) GetDlgItem(IDC_RETRIEVENAMES);
> POSITION p = m_pcsNameList->GetHeadPosition();
> while(p != NULL )
> {
> pLB->InsertString(-1, m_pcsNameList->GetNext(p));
> }
return TRUE; // Return TRUE unless you set the focus to a control.
// EXCEPTION: OCX Property Pages should return FALSE.
This code creates a pointer to a ListBox, associates it with the dialog box's list box, and uses the member functions of a CStringList to fill the list box. The data transfer is complete. Build and run the application.